Deep thinking through practices of interpretation.


Dr. Shively Smith - Theology Social Proof


Since the age of 16, I've been a student of the bible and other sacred texts. Dedicated to the life of the mind and journey of the spirit, I go about my work as a scholar and teacher of biblical texts and histories with hopes of making a difference in the world that speaks informed, courageous, and spirit-filled truth.  

I'm proud to have studied and collaborated with some of the most committed and educated scholars, teachers, and preachers in theological education, the Church universal, other religious traditions, and beyond. Each day, I aim to grow in my understanding and faith to create bridges for people from different walks of life to talk to each other. 



Exploring the head, heart, and hand of interpretation

Engage in deep thinking through innovative practices of interpretation with Dr. Shively T. J. Smith, exploring the depths of biblical scholarship and beyond.


Images of Interpretation is a visual journey of consideration, contemplation, and interpretation curated by Dr. Shively T. J. Smith

What comes next are records of crystals, not part of the entry.
********
(1)
Computed, not measured: an optimized crystal structure of LiTlIn2Cl6 at the GGA-PBE level of DFT.

POSCAR file:
```
LiTlIn2Cl6
1.0
-1.460 -0.784 8.045
2.579 -5.596 -5.511
5.782 4.276 -1.673
Cl In Tl Li
6 2 1 1
Direct
0.765 0.627 0.653
0.104 0.194 0.645
0.571 0.925 0.663
0.172 0.428 0.190
0.550 0.971 0.154
0.777 0.728 0.181
0.565 0.311 0.862
0.642 0.793 0.412
0.006 0.490 0.499
0.814 0.011 0.043
```

Size of the total moment: 0.00 μB/cell
ΔE_f (raw): -11.58 eV/f.u.

(2)
Computed, not measured: an optimized crystal structure of Li4Dy3ZrSe8 at the GGA-PBE level of DFT.

POSCAR file:
```
Li4Dy3ZrSe8
1.0
7.991 0.000 0.000
0.000 7.978 -0.018
-3.995 -3.991 5.652
Se Zr Li Dy
8 1 4 3
Direct
0.246 0.752 0.491
0.247 0.243 0.495
0.246 0.752 0.007
0.762 0.752 0.007
0.754 0.248 0.993
0.238 0.248 0.993
0.754 0.248 0.509
0.753 0.757 0.505
0.000 0.500 0.000
0.500 0.000 0.000
0.500 0.000 0.500
0.000 0.000 0.000
0.000 0.000 0.500
0.500 0.500 0.500
0.000 0.500 0.500
0.500 0.500 0.000
```

Size of the total moment: 0.00 μB/cell
ΔE_f (raw): -25.35 eV/f.u.

(3)
Computed, not measured: an optimized crystal structure of K4MgPb4 at the GGA-PBE level of DFT.

POSCAR file:
```
K4MgPb4
1.0
7.020 0.000 0.000
-3.510 8.136 3.510
0.000 0.000 7.020
K Pb Mg
4 4 1
Direct
0.444 0.244 0.556
0.200 0.756 0.444
0.800 0.244 0.200
0.556 0.756 0.800
0.003 0.317 0.686
0.314 0.317 0.997
0.686 0.683 0.314
0.997 0.683 0.003
0.000 0.000 0.000
```

E_tot: -20.034 eV per cell
Size of the total moment: 0.00 μB/cell

(4)
Computed, not measured: an optimized crystal structure of RbTlCuBr3 at the GGA-PBE level of DFT.

POSCAR file:
```
RbTlCuBr3
1.0
-1.910 -4.920 -2.337
8.949 0.780 -1.828
-0.652 -3.666 8.250
Br Tl Cu Rb
6 2 2 2
Direct
0.498 0.996 0.266
0.140 0.280 0.338
0.145 0.290 0.836
0.502 0.004 0.734
0.860 0.720 0.662
0.855 0.710 0.164
0.358 0.716 0.423
0.642 0.284 0.577
0.998 0.995 0.257
0.002 0.005 0.743
0.646 0.293 0.089
0.354 0.707 0.911
```

Size of the total moment: 0.00 μB/cell
ΔE_f (raw): -5.35 eV/f.u.

(5)
Computed, not measured: an optimized crystal structure of PrInO at the GGA-PBE level of DFT.

POSCAR file:
```
PrInO
1.0
-3.557 -0.648 -1.931
2.032 -1.414 -3.267
-0.307 -7.794 3.183
In O Pr
2 2 2
Direct
0.750 0.250 0.078
0.250 0.750 0.922
0.750 0.750 0.500
0.250 0.250 0.500
0.250 0.750 0.361
0.750 0.250 0.639
```

Size of the total moment: 0.00 μB/cell
Energy relative to the lowest polymorph listed for this composition: 0.0 meV/atom
ΔE_f (raw): -5.97 eV/f.u.

(6)
Computed, not measured: an optimized crystal structure of Zn2CuAs at the GGA-PBE level of DFT.

POSCAR file:
```
Zn2CuAs
1.0
-4.012 -2.786 -0.535
1.102 -4.778 -0.314
1.248 3.555 3.153
As Zn Cu
1 2 1
Direct
0.250 0.750 0.500
0.500 0.500 0.000
0.000 0.000 0.000
0.750 0.250 0.500
```

E_tot: -10.832 eV per cell
Size of the total moment: 0.00 μB/cell

(7)
Computed, not measured: an optimized crystal structure of TbBr2F at the GGA-PBE level of DFT.

POSCAR file:
```
TbBr2F
1.0
-3.195 -1.792 1.089
-1.559 -3.730 -4.006
********

Explore curated book recommendations by Dr. Smith, enhancing your understanding of biblical literature and related topics with insightful reads.

== Someone pasted calculated crystals at this point ==
<<<
MnIn2O3 | GGA+U | relaxed

```
MnIn2O3
1.0
14.0902 0.0000 0.0000
0.0000 4.5407 0.0000
-0.5651 0.0000 2.9545
Mn In O
2 4 6
Direct
0.0000 0.0000 0.0000
0.5000 0.5000 0.0000
0.1370 0.5000 0.6199
0.3630 0.0000 0.3801
0.6370 0.0000 0.6199
0.8630 0.5000 0.3801
0.0000 0.5000 0.0000
0.0940 0.0000 0.5827
0.4060 0.5000 0.4173
0.5000 0.0000 0.0000
0.5940 0.5000 0.5827
0.9060 0.0000 0.4173
```

Total magnetization, μB/cell: 8.038
Space group: C2/m (12)
Raw total energy, eV/atom: -5.7435

=====

PBE-GGA Dy3Th3Tl2Tc, relaxed; final energy = -5.911 eV per atom; formation energy from the elements = -0.226 eV/atom; symmetry = P-62m
1.0
8.7818 0.0000 0.0000
-4.3909 7.6052 0.0000
0.0000 0.0000 3.8481
Dy Th Tl Tc
3 3 2 1
Cartesian
-1.7402 3.0140 0.0000 Dy
3.4803 0.0000 0.0000 Dy
2.6507 4.5912 0.0000 Dy
-3.3205 5.7513 1.9240 Th
1.0704 1.8539 1.9240 Th
6.6410 0.0000 1.9240 Th
0.0000 5.0702 1.9240 Tl
4.3909 2.5351 1.9240 Tl
0.0000 0.0000 0.0000 Tc

=====

--- 1 ---
{
  "formula": "KZr2Ni",
  "functional": "meta-GGA SCAN",
  "state": "PBEsol geometry",
  "m_tot_mub_per_cell": 0.001,
  "sg": "Pmmm",
  "volume_a3_per_atom": 20.75,
  "lattice": [[3.145, 0.000, 0.000], [0.000, 5.125, 0.000], [0.000, 0.000, 5.151]],
  "species": ["K", "Ni", "Zr", "Zr"],
  "fractional_positions": [[0.500, 0.000, 0.500], [0.000, 0.500, 0.500], [0.000, 0.000, 0.000], [0.500, 0.500, 0.000]]
}

--- 2 ---
{
  "formula": "KZr2Ni",
  "functional": "meta-GGA SCAN",
  "state": "PBEsol geometry",
  "m_tot_mub_per_cell": 0.737,
  "sg": "P4/mmm",
  "volume_a3_per_atom": 23.53,
  "lattice": [[3.010, 0.000, 0.000], [0.000, 3.010, 0.000], [0.000, 0.000, 10.389]],
  "species": ["K", "Ni", "Zr", "Zr"],
  "fractional_positions": [[0.500, 0.500, 0.000], [0.500, 0.500, 0.500], [0.000, 0.000, 0.663], [0.000, 0.000, 0.337]]
}

Q: What are the energies relative to the best structure? A: 1 62.8; 2 0.0, in kJ/mol of atoms.

=====

PBE+U CrNiPt2O6, optimized geometry; symmetry = C2/c (15); DFT total energy = -6.067 eV/atom; calculated volume = 11.19 Å³/atom
1.0
6.269 -3.402 0.000
6.269 3.402 0.000
-1.646 0.000 5.249
Cr Ni Pt O
2 2 4 12
Direct
0.117 0.883 0.750
0.883 0.117 0.250
0.371 0.629 0.250
0.629 0.371 0.750
0.079 0.424 0.721
0.424 0.079 0.221
0.576 0.921 0.779
0.921 0.576 0.279
0.048 0.789 0.371
0.177 0.349 0.096
0.211 0.952 0.129
0.263 0.578 0.851
0.349 0.177 0.596
0.422 0.737 0.649
0.578 0.263 0.351
0.651 0.823 0.404
0.737 0.422 0.149
0.789 0.048 0.871
0.823 0.651 0.904
0.952 0.211 0.629
>>>
== The page goes on ==


A carefully curated list of books Dr. Smith reads and recommends you add to your own. Read with Dr. Smith!


  • Kind Words

    “Dr. Smith is passionate, intellectual, and real. Her teaching pulls you and keeps you engaged. She pushes you to unpack the text and find the application to modern everyday life. She operates in excellence and doesn't dumb down any of what she teaches. She has a way of being able to bring you to her level by walking you through using various teaching methods and tools to engage you every step of the way. “

    - Judge (Michigan)

  • kind words

    “Dr. Shively has brought a whole new meaning, connectivity, and understanding of “meditation” to my life. Through her creative ability and religious teachings, Dr. Shively has taken concrete life examples and aligned them ever so well with the great works of spiritual leaders like Howard Thurman. I have become a reader of Thurman’s work and write meditations. “

    - Lay Leader (Washington, DC)

  • kind words

First-principles (meta-GGA SCAN) data for a crystal of ScZn4Ag relaxed with PBEsol, as listed in Alexandria via LeMat-Bulk.

a = 7.187 Å, b = 7.187 Å, c = 7.187 Å
α = 90.00°, β = 90.00°, γ = 90.00°
Space group F-43m (No. 216)
Symmetry-distinct sites (fractional):
Sc (0.000, 0.000, 0.000) x4
Zn (0.125, 0.125, 0.625) x16
Ag (0.250, 0.250, 0.250) x4

Values from the calculation:
DFT formation energy	-0.226	eV per atom
calculated volume	371.19	Å³/cell


First-principles (meta-GGA SCAN) data for a crystal of ScZn2Ag relaxed with PBEsol, as listed in Alexandria via LeMat-Bulk.

a = 4.055 Å, b = 4.055 Å, c = 4.074 Å
α = 90.00°, β = 90.00°, γ = 90.00°
Space group P4/mmm (No. 123)
Symmetry-distinct sites (fractional):
Sc (0.000, 0.000, 0.000) x1
Zn (0.000, 0.500, 0.500) x2
Ag (0.500, 0.500, 0.000) x1

Values from the calculation:
DFT formation energy	-0.212	eV per atom
calculated volume	67.00	Å³/cell
offset from the most stable computed form	0.112	eV per atom


First-principles (meta-GGA SCAN) data for a crystal of Zr2ScAg relaxed with PBEsol, as listed in Alexandria via LeMat-Bulk.

a = 3.027 Å, b = 5.270 Å, c = 5.187 Å
α = 90.00°, β = 96.23°, γ = 90.00°
Space group P2/m (No. 10)
Symmetry-distinct sites (fractional):
Zr (0.211, 0.000, 0.253) x2
Sc (0.500, 0.500, 0.000) x1
Ag (0.000, 0.500, 0.500) x1

Values from the calculation:
DFT formation energy	0.033	eV per atom
calculated volume	82.26	Å³/cell
offset from the most stable computed form	0.141	eV per atom


First-principles (meta-GGA SCAN) data for a crystal of Zr2ScAg relaxed with PBEsol, as listed in Alexandria via LeMat-Bulk.

a = 3.174 Å, b = 3.174 Å, c = 8.217 Å
α = 90.00°, β = 90.00°, γ = 90.00°
Space group P4mm (No. 99)
Symmetry-distinct sites (fractional):
Zr (0.000, 0.000, 0.000) x1
Zr (0.500, 0.500, 0.263) x1
Sc (0.500, 0.500, 0.733) x1
Ag (0.000, 0.000, 0.505) x1

Values from the calculation:
DFT formation energy	-0.108	eV per atom
calculated volume	82.81	Å³/cell
offset from the most stable computed form	0.000	eV per atom


First-principles (meta-GGA SCAN) data for a crystal of Zr2ScAg relaxed with PBEsol, as listed in Alexandria via LeMat-Bulk.

a = 10.698 Å, b = 3.140 Å, c = 5.405 Å
α = 90.00°, β = 114.20°, γ = 90.00°
Space group Cm (No. 8)
Symmetry-distinct sites (fractional):
Zr (0.000, 0.000, 0.000) x2
Zr (0.237, 0.000, 0.855) x2
Sc (0.277, 0.500, 0.381) x2
Ag (0.010, 0.500, 0.469) x2

Values from the calculation:
DFT formation energy	-0.068	eV per atom
calculated volume	165.60	Å³/cell
offset from the most stable computed form	0.040	eV per atom


First-principles (meta-GGA SCAN) data for a crystal of ZrScAg2 relaxed with PBEsol, as listed in Alexandria via LeMat-Bulk.

a = 3.430 Å, b = 3.430 Å, c = 6.525 Å
α = 90.00°, β = 90.00°, γ = 90.00°
Space group P4mm (No. 99)
Symmetry-distinct sites (fractional):
Zr (0.000, 0.000, 0.000) x1
Sc (0.500, 0.500, 0.708) x1
Ag (0.000, 0.000, 0.473) x1
Ag (0.500, 0.500, 0.244) x1

Values from the calculation:
DFT formation energy	-0.184	eV per atom

    “I have been influenced by the precision of her delivery. She has been a great role model in scripture interpretation and listening to scripture.”

    - Community Organizer and University Program Coordinator (Michigan)


oin Dr. Smith in dynamic speaking engagements, where she shares her expertise in biblical interpretation, educational innovation, and interreligious dialogue.


We must develop our capacities and commitments to learn from each other and to affirm the human dignity we each are entitled to as God's creation. I come alive when I am learning with others and the Bible is my way of entering that learning and conversation space. I hope you join me sometime in that journey be it in my writing and scholarship, or in my workshops or preaching, or perhaps in my university classroom or just online. Let us learn and grow together faithfully.